Work order:
Find "(2.54, -1.11," and "(4.07, 3.25," in the listing below, and type out these two lines and those between, please.

Input:
┌──
Here is a cluster of 8 separate species, C45H113N7O3S in total from the OMol25 dataset. Energies are from the ωB97M-V functional and the def2-TZVPD basis.

Output
- Gap between HOMO and LUMO: 8.35 eV
- SMILES string: CCOS(C)(=O)=O.CCN(CC)CC.CCN(CC)CC.CCN(CC)CC.CCN(CC)CC.CCN(CC)CC.CCN(CC)CC.CCN(CC)CC
- Energy relative to the best compared isomer or geometry (same formula, charge and spin): 0.000 eV

Each line ends with the Mulliken charge.
Geometry (Å):
H (2.30, 3.47, -6.90)  0.32
H (2.23, 1.17, -7.72)  0.29
H (-4.48, -2.38, -3.87)  0.26
C (-3.20, -0.45, -1.95)  0.72
H (0.46, 2.29, -3.79)  -0.53
C (-0.83, 3.83, -2.95)  -0.66
O (-1.93, -1.46, -3.73)  0.38
H (-1.35, 0.92, 1.60)  0.67
C (0.12, -4.50, 0.14)  -1.16
H (0.81, -0.84, -6.78)  0.43
H (2.91, 3.57, 3.87)  0.14
H (-1.59, -4.12, 1.48)  0.74
H (-0.87, -2.95, 3.11)  0.23
H (-6.20, 1.53, 0.79)  0.44
H (-4.56, 1.17, 0.21)  -0.06
C (-3.82, -3.15, -4.24)  -0.97
H (1.54, 2.44, 6.24)  0.20
H (3.36, 1.24, 8.38)  0.31
C (-2.04, 5.89, -2.54)  -0.65
H (2.27, 1.39, 2.41)  0.46
H (-2.41, -0.86, -1.32)  -0.63
H (2.28, 1.59, 4.90)  -0.69
H (0.63, 0.99, 2.51)  -0.14
H (1.07, 3.11, -2.34)  -0.68
H (-0.77, 4.90, -0.38)  0.10
H (2.97, 0.59, -6.20)  0.32
C (1.09, -2.00, 3.17)  1.20
H (3.94, -0.06, 0.20)  0.23
H (-2.72, -1.79, 1.81)  -1.17
H (-3.21, -0.22, 2.05)  0.24
H (-1.99, 0.39, -0.02)  -0.12
H (-2.07, -4.35, -0.19)  0.41
H (-3.10, 4.39, -1.37)  0.14
N (-0.74, 5.20, -2.44)  0.06
C (-4.11, -1.69, 3.39)  -1.70
H (2.07, -6.29, 4.19)  0.45
H (-0.01, 3.16, 1.33)  0.17
H (-4.32, -3.72, -5.03)  0.56
N (0.94, 1.09, -6.01)  1.08
H (2.49, -4.48, 2.61)  0.25
H (-6.38, -0.74, 1.70)  0.35
H (1.74, 0.22, 7.55)  0.45
C (-1.28, -3.95, 0.44)  -0.45
H (-0.19, -6.33, -4.06)  0.44
C (0.41, -5.72, -3.38)  -1.40
C (-5.48, -3.16, -0.65)  -1.34
H (0.73, -4.89, -4.00)  0.18
C (0.56, 3.26, -3.29)  0.49
H (3.54, 4.10, 6.27)  0.37
C (1.90, -5.27, 4.55)  -1.55
H (-3.44, -3.85, -3.50)  0.14
C (2.37, 1.31, -0.38)  0.47
H (1.20, -1.80, -0.22)  -0.18
H (3.86, 2.76, -6.63)  0.45
H (4.48, 1.37, -0.63)  0.52
H (-3.28, -1.68, 4.10)  0.46
H (-6.23, -2.43, -0.94)  0.37
S (-2.37, -2.36, -5.01)  1.07
H (-2.85, 5.88, -0.48)  0.25
H (1.74, 3.65, 1.41)  0.32
C (-4.90, -2.85, 0.72)  -0.32
H (0.83, -4.37, 2.96)  0.02
H (0.16, -5.53, 0.48)  0.43
O (-2.81, -1.50, -6.08)  -0.63
H (1.31, -6.25, -3.07)  0.37
H (0.74, 3.28, 2.85)  0.53
H (1.10, 3.94, -3.93)  0.47
H (-0.17, 2.04, -0.43)  -0.39
C (3.87, 3.26, 4.26)  -1.16
C (0.17, 6.78, -0.72)  -1.73
N (3.63, 2.00, 6.43)  0.18
N (0.42, -4.45, -1.28)  0.29
C (3.77, 1.01, 0.12)  -1.65
C (-0.37, -2.11, 3.59)  -1.50
H (-4.53, -2.69, 3.38)  0.32
H (1.07, -3.34, -2.84)  0.22
H (-5.88, -4.17, -0.75)  0.47
H (0.97, -0.13, 6.02)  0.36
H (-4.72, -3.10, -1.44)  0.10
H (5.87, 2.94, 7.94)  0.35
H (1.18, -2.22, 2.09)  -0.58
H (5.25, 2.16, 9.39)  0.44
H (2.69, -0.45, 6.28)  0.44
H (0.83, 4.77, -1.16)  0.24
H (-1.33, -2.86, 0.33)  -0.09
H (-4.00, -1.19, -1.91)  -0.24
H (-1.81, 6.94, -2.39)  0.41
H (1.50, -0.35, -3.81)  -0.17
C (-3.64, -1.22, 2.00)  0.76
H (-2.45, 5.76, -3.54)  0.44
C (1.62, -2.24, -1.13)  -0.96
C (-0.10, 5.34, -1.14)  0.27
H (1.01, -5.25, 5.19)  0.29
C (-5.30, 0.95, 0.99)  -0.86
H (2.54, -1.11, -5.01)  0.49
H (4.02, -3.18, 4.31)  0.58
C (-3.06, 5.47, -1.48)  -0.89
C (2.29, 1.67, 5.99)  0.82
H (0.75, 6.69, 0.20)  0.47
C (-1.45, 1.80, -6.29)  -1.04
H (3.54, -1.06, 2.20)  -0.12
C (1.50, -0.97, -4.71)  -0.21
N (1.98, -2.88, 3.93)  0.41
C (1.80, -4.24, 3.44)  0.14
H (0.04, 0.40, -1.01)  -0.22
H (-0.37, -0.47, -5.51)  -0.20
C (4.07, 3.25, 5.79)  -0.48
C (5.29, 2.09, 8.30)  -1.36
H (-0.95, -0.63, 0.88)  -0.29
C (-0.06, 1.62, -6.94)  -0.90
H (-0.71, 7.34, -0.40)  0.37
H (-1.99, 0.55, -3.37)  -0.46
H (-4.89, 1.23, 1.96)  0.25
H (2.55, -2.74, -0.87)  0.36
N (-4.54, -1.45, 0.89)  1.39
C (2.81, 2.68, -6.36)  -1.24
O (-1.38, -3.38, -5.23)  -0.64
H (4.16, 2.27, 3.92)  0.24
C (2.24, 1.28, -6.63)  -0.46
C (3.91, -2.02, 2.56)  -0.92
H (4.61, 3.98, 3.91)  0.47
H (-6.25, -0.66, -0.02)  0.39
└──

Here it is:
H (2.54, -1.11, -5.01)  0.49
H (4.02, -3.18, 4.31)  0.58
C (-3.06, 5.47, -1.48)  -0.89
C (2.29, 1.67, 5.99)  0.82
H (0.75, 6.69, 0.20)  0.47
C (-1.45, 1.80, -6.29)  -1.04
H (3.54, -1.06, 2.20)  -0.12
C (1.50, -0.97, -4.71)  -0.21
N (1.98, -2.88, 3.93)  0.41
C (1.80, -4.24, 3.44)  0.14
H (0.04, 0.40, -1.01)  -0.22
H (-0.37, -0.47, -5.51)  -0.20
C (4.07, 3.25, 5.79)  -0.48